Activity >
Could you say how many lines of the block underneath hold the word "crystal", as a bare number?
Listing >
+++
Entry 1:
Density functional theory data (PBEsol) for an optimized crystal structure of NdBPt3.

Cell: 3.9893 3.9893 5.0416 Å, 90.00 90.00 90.00°
Closest atoms and distances in Å follow each position.
Sites, in units of the cell vectors:
Nd1 0.0000 0.0000 0.0000  8 Pt 2.89-3.15, 4 B 3.18
B1 0.5000 0.5000 0.7069  5 Pt 2.09-2.21
Pt1 0.0000 0.5000 0.5177  2 B 2.21
Pt2 0.5000 0.0000 0.5177  2 B 2.21
Pt3 0.5000 0.5000 0.1210  1 B 2.09

- Space-group type: P4mm (99)
- Size of the total moment: 0.0000 μB per atom
- Energy of formation: -0.880 eV/atom



Entry 2:
Density functional theory data (PBEsol) for an optimized crystal structure of NdBRh3.

Cell: 4.1941 4.1941 4.1941 Å, 90.00 90.00 90.00°
Closest atoms and distances in Å follow each position.
Sites, in units of the cell vectors:
Nd1 0.0000 0.0000 0.0000  12 Rh 2.97
B1 0.5000 0.5000 0.5000  6 Rh 2.10
Rh1 0.0000 0.5000 0.5000  2 B 2.10
Rh2 0.5000 0.0000 0.5000  2 B 2.10
Rh3 0.5000 0.5000 0.0000  2 B 2.10

- Space-group type: Pm-3m (221)
- Size of the total moment: 0.0002 μB per atom
- Energy of formation: -0.692 eV/atom



Entry 3:
Density functional theory data (PBEsol) for an optimized crystal structure of NdB4Ru4.

Cell: 9.1661 9.1661 9.1661 Å, 131.94 131.94 70.33°
Closest atoms and distances in Å follow each position.
Sites, in units of the cell vectors:
Nd1 0.1250 0.3750 0.7500  12 Ru 2.94-3.20, 12 B 2.97-3.18
Nd2 0.3750 0.1250 0.2500  12 Ru 2.94-3.20, 12 B 2.97-3.18
Nd3 0.6250 0.8750 0.7500  12 Ru 2.94-3.20, 12 B 2.97-3.18
Nd4 0.8750 0.6250 0.2500  12 Ru 2.94-3.20, 12 B 2.97-3.18
B1 0.0623 0.1234 0.2726  1 B 1.80
B2 0.1234 0.3508 0.0610  1 B 1.80
B3 0.1492 0.3766 0.4390  1 B 1.80
B4 0.2102 0.9377 0.5610  1 B 1.80
B5 0.2898 0.8508 0.7274  1 B 1.80
B6 0.3508 0.7898 0.2274  1 B 1.80
B7 0.3766 0.4377 0.2274  1 B 1.80
B8 0.4377 0.7102 0.0610  1 B 1.80
B9 0.5623 0.2898 0.9390  1 B 1.80
B10 0.6234 0.5623 0.7726  1 B 1.80
B11 0.6492 0.2102 0.7726  1 B 1.80
B12 0.7102 0.1492 0.2726  1 B 1.80
B13 0.7898 0.0623 0.4390  1 B 1.80
B14 0.8508 0.6234 0.5610  1 B 1.80
B15 0.8766 0.6492 0.9390  1 B 1.80
B16 0.9377 0.8766 0.7274  1 B 1.80
Ru1 0.0418 0.8205 0.9891  5 B 2.13-2.28
Ru2 0.0527 0.0418 0.7213  5 B 2.13-2.28
Ru3 0.1686 0.6795 0.7213  5 B 2.13-2.28
Ru4 0.1795 0.6686 0.2213  5 B 2.13-2.28
Ru5 0.3205 0.5418 0.4891  5 B 2.13-2.28
Ru6 0.3314 0.0527 0.5109  5 B 2.13-2.28
Ru7 0.4473 0.1686 0.9891  5 B 2.13-2.28
Ru8 0.4582 0.4473 0.7787  5 B 2.13-2.28
Ru9 0.5418 0.5527 0.2213  5 B 2.13-2.28
Ru10 0.5527 0.8314 0.0109  5 B 2.13-2.28
Ru11 0.6686 0.9473 0.4891  5 B 2.13-2.28
Ru12 0.6795 0.4582 0.5109  5 B 2.13-2.28
Ru13 0.8205 0.3314 0.7787  5 B 2.13-2.28
Ru14 0.8314 0.3205 0.2787  5 B 2.13-2.28
Ru15 0.9473 0.9582 0.2787  5 B 2.13-2.28
Ru16 0.9582 0.1795 0.0109  5 B 2.13-2.28

- Space-group type: I4_1/acd (142)
- Size of the total moment: 0.0000 μB per atom
- Energy of formation: -0.477 eV/atom



Entry 4:
Density functional theory data (PBEsol) for an optimized crystal structure of Ni2B.

Cell: 4.0631 4.0631 4.0631 Å, 105.57 105.57 117.59°
Closest atoms and distances in Å follow each position.
Sites, in units of the cell vectors:
Ni1 0.1691 0.6691 0.8383  4 B 2.11, 1 Ni 2.35
Ni2 0.3309 0.1691 0.5000  4 B 2.11, 1 Ni 2.35
Ni3 0.6691 0.8309 0.5000  4 B 2.11, 1 Ni 2.35
Ni4 0.8309 0.3309 0.1617  4 B 2.11, 1 Ni 2.35
B1 0.2500 0.2500 0.0000  2 B 2.11, 8 Ni 2.11
B2 0.7500 0.7500 0.0000  2 B 2.11, 8 Ni 2.11

- Space-group type: I4/mcm (140)
- Size of the total moment: 0.0001 μB per atom
- Energy of formation: -0.360 eV/atom



Entry 5:
Density functional theory data (PBEsol) for an optimized crystal structure of NiB4O7.

Cell: 6.2762 6.2762 5.1771 Å, 90.00 90.00 60.35°
Closest atoms and distances in Å follow each position.
Sites, in units of the cell vectors:
Ni1 0.2376 0.7624 0.7500  5 O 1.98-2.03
Ni2 0.7624 0.2376 0.2500  5 O 1.98-2.03
B1 0.2006 0.2006 0.0000  4 O 1.45-1.54
B2 0.2006 0.2006 0.5000  4 O 1.45-1.54
B3 0.2044 0.5644 0.2500  4 O 1.45-1.54
B4 0.4356 0.7956 0.2500  4 O 1.45-1.54
+++
Here it is >
5